
22.1 Introduction

Real-world systems are naturally unstable when analyzed over the broad functioning range while various of the systems are supposed to “act” as linear in the environment of the specific operating condition at moderate speeds under particular consideration (Albertos et al. 1997; Zarei 2020; Precup et al. 2020; Priyanka et al. 2020; Boonpramuk et al. 2019; Fiser and Zítek 2019). Numerous physical process systems are denoted by nonlinear models. Examples incorporate drag on a vehicle in movement, chemical reactor, coulomb friction, robotic manipulator, electrostatic and gravitational attraction, electrical or electronics characteristics, etc. Recently, many researchers from such abovementioned broad area have revealed an intense concern in the modeling and examination of nonlinear control strategies. However, the main challenges force constantly striking into nonlinearities (Iqbal and Ullah 2017). Main causes behind the increasing concern in nonlinear control cover are investigations of strong nonlinearities, advancement of linear control systems, and requirement of dealing with model changes and design simplicity. PID controller is broadly employed in several industrial applications due to its simple design and structure. However, it is a challenge to obtain the desired control performance in the appearance of time delays, anonymous nonlinearities, disturbances as well as variation in system parameters. In this era, several control techniques have been invented for the industrial application. Though PID controller appeared as the simplest and usually accepted classical controller (Goud and Swarnkar 2019a, 2018; Rajesh and Dash 2019; Khan et al. 2019; Gaidhane et al. 2019; Salman and Jafar 2019; Khanduja et al. 2019). PID control tuning is the mathematical and practical procedure for obtaining the optimized value of controller parameters. Conventional controller tuning provides reliable and adequate action for linear time-invariant systems (Dubey et al. 2021; Goud et al. 2021; Swarnkar and Goud 2021; Ekinci and Hekimoglu 2019; Goud and Swarnkar 2019b).

Though, as the process is conducted in the limit enough nearly to a given set point, it cannot guarantee to perform well with fluctuations in set points or environmental conditions. Controller using online tuning for nonlinear systems should adjust variations in the variable and transfer them to control technique such that the performance of the control system is not degraded in spite of variations in the environment changes (Erol 2021; Feng et al. 2021; Jayaswal et al. 2021; Ghosh et al. 2021; Goud and Swarnkar 2019c; Swarnkar and Goud 2020; Noordin et al. 2021; Guo et al. 2021; Pongfai et al. 2021; Gopi and Reddy 2015).

In this investigation, an attempt is made to carry out a comparative analysis of offline and online PID tuning techniques for the unstable system. Pure unstable modes normally occur in the system such as an inverted pendulum system and flight system. Both classical and advanced online PID tuning methods are employed on unstable system to obtain satisfactory performance. The rest of this book chapter is ordered as follows: Sect. 22.2 illustrates the unstable system model. Section 22.3 explains the classical control action. Section 22.4 summarizes classical modes of PID tuning. Section 22.4 describes the online controller tuning for unstable system. Eventually, a short conclusion is discussed in Sect. 22.5.

22.2 Unstable System Model

Controller design of unstable systems could be tried applying many of the techniques suitable to the usual stable system but the outcomes may not be adequate. Controller design for stable system is based on various linear opinions when applied to unstable system practically may fail. This situation, accordingly, requires the sensible and accurate design of the controller. The system, which is now used for the investigation of controllers, is the third-order unstable system with feedforward transfer function shown in Eq. (22.1) (Swarnkar and Goud 2021, 2020).

$$G(s) = \frac{1000}{{(1 + 0.01s)(0.01s^2 + s)}}$$

and feedback transfer function H(s) = 1.

The step response of the plant without any controller is exhibited in Fig. 22.1.

Fig. 22.1
figure 1

Time response characteristic of third-order unstable system (Swarnkar and Goud 2021, 2020)

It can be remarked that oscillations of the system are rising with time and becoming the system unstable. In an unstable system, the amount of overshoot is closely related to rise time. Unexpectedly, the higher the rise times more the overshoots, which is opposed to the cause of stable plants. Bode plot is given for the loop transfer function in Fig. 22.2. The gain crossover frequency (ωg) is calculated as 200 rad/sec whereas the phase crossover frequency (ωp) is calculated as 100 rad/sec. The phase and gain margins measured by the plot are −37° and −13.9 dB, respectively. A negative sign of margins reveals the instability of the system. To check the stability range with respect to feedforward gain of the system, the root locus plot is also shown in Fig. 22.3. This plot shows very small stability range for the plant under consideration. System becomes marginally stable for feedforward gain of 0.2 only, and beyond this system becomes unstable.

Fig. 22.2
figure 2

Bode plot for third-order unstable system (Swarnkar and Goud 2021, 2020)

Fig. 22.3
figure 3

Root locus plot for third-order unstable system (Swarnkar and Goud 2021, 2020)

The traditional and advanced online control techniques are now used to examine their applicability and usefulness for such uncontrolled plant (Swarnkar and Goud 2021, 2020).

22.3 Classical Control Action

All standard design control methods are beneficial for PID controllers. Some novel approaches are also revealed to evaluate parameters for PID controllers and these approaches are often called tuning techniques. The most popular offline tuning methods are invented by Ziegler–Nichols (ZN). By using proper tuning techniques, errors can be overcome and output can move toward given desired value. In some circumstances, where the system has a notable amount of instability, the traditional tuning techniques are unsuccessful to give an excellent solution. A schematic diagram of PID control operation is revealed in Fig. 22.4.

Fig. 22.4
figure 4

A schematic diagram of PID control action (Swarnkar and Goud 2020, 2021)

In conventional control, once these parameters are decided then they remain fixed throughout the process irrespective of the variations in the system. In PID controller, the control signal generated by the controller is defined by Eq. (22.2).

$$u(t) = K_p e(t) + K_i \int {e(t)dt} + K_d \frac{de(t)}{{dt}}$$

The transfer function of PID controller is defined in Eq. (22.3).

$$G_{PID} (s) = \frac{U(s)}{{E(s)}} = K_p + \frac{K_i }{s} + sK_d$$

where \({\mathrm{K}}_{\mathrm{p}}\) is the proportional controller parameter, \({\mathrm{K}}_{\mathrm{i}}\) is the integral controller parameter, and \({\mathrm{K}}_{\mathrm{d}}\) is the derivative controller parameter, e(t) is the error signal, and u(t) is the control signal. These gains fix the role of each individual controller in the process. Correct choice of these gains is actually the base for the perfect controlling (Albertos et al. 1997; Fiser and Zítek 2019; Goud and Swarnkar 2019b). For the nonlinear system, the measurement of these parameters is a challenging assignment. This book chapter highlights the importance of classical and advanced (online) tuning techniques. As these techniques calculate the values of Kp, Ki, and Kd based on their previous values, the next section describes the mathematical model of its execution.

22.3.1 Classical PID Tuning

A traditional tuning method for PID controller was invented by ZN known as Pessen Integral Rule (PIR). The procedure for tuning PID gains using PIR is similar to the procedure of ZN PID tuning. Traditional techniques are offline methods, once the controller gains are set cannot be adjusted during the process which can be overcome by using smart or online techniques.

The steps for getting controller gains using PIR are as follows:

  • Put \(K_d = 0\) and \(K_i = 0\), system is proportional.

  • Take the characteristic equation and by using Routh criteria find the value of \(K_p = K_u\).

  • Using characteristic equation and Routh criteria find the value of Tu.

  • Find out the values of controller gains using Table 22.1 (Pongfai et al. 2021).

    Table 22.1 PID tuning using Pessen integral rule (PIR) (Pongfai et al. 2021)

22.3.2 System Response with Classical PID Tuning

The time response characteristic of the unstable system controlled with PIR technique is shown in Fig. 22.5. Remarkable improvement in system characteristic can be examined with the use of PID controller. The performance of the unstable system is examined in terms of rise time, peak time, settling time, and overshoot. By using the PIR-PID tuning approach highest overshoot is reduced to 56.9987% and settling time to 0.1357 s. which is comparatively better than unstable system. Table 22.3 shows the values of the PID controller parameters obtained by various tuning techniques. Figure 22.6 shows the Bode plot of system with PIR technique in which calculated values of phase margin and gain margin are positive that shows system is stable and that parameters are summarized in Table 22.2.

Fig. 22.5
figure 5

Time response characteristic of third-order unstable system using PIR tuning technique

Fig. 22.6
figure 6

Bode plot for third-order unstable system using PIR tuning technique

Table 22.2 Bode plot parameters of different PID tuning
Table 22.3 PID parameters obtained by advance (online) and classical PID tuning for unstable system

22.4 Online Controller Tuning for Unstable System

The offline conventional method has improved the performance of the system under consideration which can be further improved by advanced online tuning techniques. This section presents the controlling of unstable system using advanced online tuning methods and “SISOTOOL” in the Control System Toolbox, PID tuner block, and signal constraint box. Finally, results will be compared for all tuning methods.

22.4.1 Controller Design with SISOTOOL:

“SISOTOOL” is one of the advanced features in the Control System Toolbox in MATLAB that facilitates software-based controller configuration for single-input single-output (SISO) systems. A typical design workflow with the SISOTOOL involves the following steps:

  • Run the transfer function of an inherently unstable system in the editor or command window of MATLAB.

  • Type “SISOTOOL” at the command prompt.

  • A new window SISO design task is open.

  • Import the system model (transfer function) of an inherently unstable system.

  • Design controllers using Linear–Quadratic–Gaussian (LQG) synthesis design method in automated tuning and update compensator.

  • Now Eq. (22.4) of compensator is found.

Now click on show analysis plot and investigate control system designs using frequency-domain responses and time domain such as step response (Fig. 22.7) and bode plot (Fig. 22.8). Time response characteristic reveals the remarkable change in performance with the higher overshoot as decrease as 46.2%. In Bode plot the gain and phase margins calculated by the graph are positive which indicate the stability of the system. Observations by Bode plot are summarized in Table 22.2, where the results are compared with conventional tuning method also.

$$Compensator = 0.40446 \times \frac{(1 + s)(1 + 0.012s + (0.0064s)^2 )}{{s(1 + 0.0015s)(1 + 0.0014s + (0.0017s)^2 )}}$$
Fig. 22.7
figure 7

Time response graph with tuned LQG synthesis tuning technique

Fig. 22.8
figure 8

Bode plot with tuned LQG synthesis tuning technique

22.4.2 PID Tuning with Signal Constraint Box

In this method of online tuning, the desired output characteristic is defined in advance and controller is tuned for obtaining this characteristic. Following steps are adopted for performing tuning using signal constraint box in MATLAB.

  • Open PID controller box and assign the controller gains in the form of variables only, i.e., Kp, Ki, Kd.

  • Open signal constraint box and set the limits of output waveform as shown in Fig. 22.9.

    Fig. 22.9
    figure 9

    Time response characteristics for different sets of controller gains

  • Go to optimization block then Tuned parameters and add the variables one by one.

**Records of crystals that have nothing to do with the entry:**
____________
Record 1
Density functional theory data (PBE) for a geometry-optimized EuSe structure.

Cell: 3.776 3.776 3.776 Å, 90.00 90.00 90.00°
Positions (direct):
Se  0.500  0.500  0.500
Eu  0.000  0.000  0.000

## Properties
DFT total energy: -17.25 eV per cell
Formation energy from the elements: -1.985 eV/atom

=====

Record 2
Density functional theory data (PBE) for a geometry-optimized ZnH20S2N2O14 structure.

Cell: 13.814 6.226 8.715 Å, 76.53 90.00 90.00°
Positions (direct):
H  0.152  0.662  0.743
O  0.432  0.903  0.312
O  0.850  0.989  0.607
H  0.241  0.637  0.163
H  0.575  0.343  0.271
H  0.980  0.185  0.235
H  0.836  0.506  0.384
H  0.336  0.494  0.116
H  0.083  0.034  0.721
O  0.224  0.370  0.392
H  0.586  0.654  0.425
O  0.406  0.233  0.074
H  0.660  0.709  0.549
H  0.117  0.885  0.252
O  0.439  0.353  0.792
H  0.414  0.346  0.575
N  0.814  0.359  0.358
H  0.925  0.343  0.771
H  0.160  0.291  0.951
H  0.348  0.662  0.243
O  0.068  0.903  0.812
O  0.932  0.097  0.188
H  0.664  0.506  0.884
H  0.340  0.291  0.451
H  0.914  0.654  0.925
H  0.086  0.346  0.075
H  0.583  0.966  0.779
O  0.561  0.647  0.208
S  0.367  0.239  0.914
O  0.276  0.370  0.892
H  0.170  0.776  0.550
H  0.259  0.637  0.663
O  0.094  0.233  0.574
H  0.840  0.709  0.049
O  0.939  0.647  0.708
H  0.075  0.657  0.229
O  0.602  0.200  0.330
O  0.061  0.353  0.292
O  0.650  0.989  0.107
H  0.417  0.034  0.221
O  0.589  0.706  0.524
O  0.102  0.800  0.170
H  0.480  0.815  0.265
O  0.398  0.800  0.670
S  0.133  0.239  0.414
O  0.776  0.630  0.608
O  0.594  0.767  0.926
H  0.383  0.885  0.752
H  0.848  0.338  0.257
O  0.724  0.630  0.108
O  0.911  0.706  0.024
H  0.917  0.966  0.279
N  0.686  0.359  0.858
Zn  0.000  0.000  0.000
H  0.741  0.363  0.337
N  0.314  0.641  0.142
O  0.089  0.294  0.976
Zn  0.500  0.000  0.500
H  0.425  0.657  0.729
H  0.759  0.363  0.837
O  0.898  0.200  0.830
O  0.568  0.097  0.688
H  0.670  0.224  0.950
O  0.411  0.294  0.476
H  0.164  0.494  0.616
O  0.350  0.011  0.893
O  0.150  0.011  0.393
H  0.883  0.115  0.748
H  0.652  0.338  0.757
H  0.330  0.776  0.050
O  0.906  0.767  0.426
H  0.520  0.185  0.735
S  0.633  0.761  0.086
N  0.186  0.641  0.642
H  0.617  0.115  0.248
H  0.830  0.224  0.450
H  0.020  0.815  0.765
S  0.867  0.761  0.586

## Properties
DFT total energy: -406.34 eV per cell
Polymorph energy (0 for the lowest one): 15 meV/atom
Formation energy from the elements: -1.268 eV/atom

=====

Record 3
Density functional theory data (PBE) for a geometry-optimized Ba3Ta4TiO15 structure.

Cell: 12.760 4.019 12.685 Å, 89.95 90.00 90.00°
Positions (direct):
Ta  0.464  0.207  0.074
O  0.246  0.187  0.658
O  0.966  0.200  0.783
Ta  0.040  0.208  0.924
O  0.255  0.191  0.344
Ba  0.427  0.708  0.329
Ta  0.960  0.208  0.424
O  0.749  0.690  0.000
O  0.594  0.192  0.994
O  0.905  0.190  0.007
O  0.392  0.195  0.933
O  0.532  0.199  0.217
O  0.468  0.199  0.717
Ta  0.751  0.200  0.004
Ti  0.670  0.240  0.284
O  0.178  0.195  0.859
____________

  • Assign the initial guess to each variable.

  • Run the system and start the optimization.

The system performance is checked for different set of controller gains. After iteration the best possible set of controller gain is chosen for getting the desired performance of the system. Figure 22.9 shows the number of iterations with the time response characteristics for different sets of controller gains. Finally, the feasible or optimal solution provided by this tuning within the specified tolerances defines the controller gains as shown in Table 22.3.The time response characteristic with this optimal set of controller gains is shown in Fig. 22.10. It is obvious from the characteristic that system becomes stable with reasonable specifications. The maximum overshoot is limited to 11.35% with settling time 0.225 s which shows the great improvement in performance as compared to conventional offline tuning method.

Fig. 22.10
figure 10

Time response characteristic for optimal values of controller gains

22.4.3 Controller Design with Online PID Tuner

PID tuner in MATLAB gives a quick and extensively used single-loop PID tuning approach for the Simulink. This technique is employed to tune controller parameters to obtain a strong PID controller design with the required reaction time. A common design step with the online tuner includes the subsequent steps:

  • Start the PID tuner.

  • When import, the MATLAB software calculates a model from the designs of Simulink model and primary controller.

  • Tune the parameters in the Graphical User Interfaces (GUIs), by manually fixing design rules in two design approaches.

  • The tuner calculates controller parameters that strongly sustain the system.

  • Export the parameters of the designed controller following the PID controller and validate controller performance in Simulink (Gopi and Reddy 2015).

After performing the tuning using PID tuner, controller gains are obtained as shown in Table 22.3.The time response characteristic of the given unstable system with this tuned PID controller is shown in Fig. 22.11. Characteristic shows the remarkable improvement in performance with maximum overshoot as low as 7.13%. This not only makes the system stable but making it convenient for all practical applications. Bode plot of such system is revealed in Fig. 22.12. Graph shows that the system is having both the margins positive with sufficient magnitudes.

Fig. 22.11
figure 11

Time response of unstable system with auto-tuned PID controller

Fig. 22.12
figure 12

Bode plot for the system tuned with online PID tuner

Unstable system is not only showing the bonded output but performance is also quite satisfactory with the adaptive schemes. The performance of the system based on time response specifications is summarized in Table 22.4 which shows the importance of suitable tuning of controller for obtaining the optimal performance of uncontrolled system. Performance of such conventional controllers can be used to understand complex behaviors of the system. PIR response yields higher overshoot which can be slightly overcome by using tuning using Control System Toolbox. The analysis of Control System Toolbox for the design of compensator used in LQG synthesis reveals that tuning technique used is robust toward uncertainty in system parameters and it can be strongly executed to any process industries.

Table 22.4 Step response specification of different PID tuning

22.5 Conclusion

Conventional PID controllers are suitable for performance improvement of stable system while controlling the unstable system which is the challenging job for controllers. If the calculated values of phase and gain margins are negative with large magnitudes for unstable systems, then the performance improvement of such system is not feasible for traditional rigid gain controllers. Tuning of PID controller is a tedious task for such an unbounded plant. With detailed simulation studies this work presents the design and implementation of traditional and advanced online tuned PID controller for controlling the highly unstable system. It is found that an unstable system is not only giving the bonded response but performance is also quite satisfactory with the suitable adaptive control. The performance of such traditional controllers can be employed to examine the complicated behavior of the system. PIR response produces a larger maximum overshoot which can be insignificantly reduced by applying LQG synthesis. The settling time (0.0379 s) and overshoot (46.2%) are under the prescribed limit with LQG synthesis tuning method. The performance of the unstable system is further enhanced with the employment of online advanced tuning techniques. The online PID tuning techniques exhibit that appropriate tuning procedure can not only drag one unstable system toward stability but can also improve its performance to large extent.